
Period or Pregnancy Symptoms? Difference

From nature, Women is bestowed with beauty, charm, elegance and attractive physic, but the same nature also cursed this wonderful creature with some hash things such as menstrual cycle, pregnancy pain, and breast issues. Pregnancy gives the worst pain out of it. Girls fear from pregnancy they have too XD, but it is the thing to fear if you are not married. The similarities between period and pregnancy often boosts fear for them. Don’t worry! We will not give you pregnancy care tips, in this blog we will just find a difference between the two: -


·         Abdominal or pelvic cramps

·         Water retention (bloating)

·         Headache and fatigue

·         Breast tenderness

·         Mood swings and irritability

·         Pimples / acne outbreaks

Data records from another source follow
┌──
1.
The following is a GGA-PBE calculation of a relaxed FeIrAu crystal, from Alexandria via LeMat-Bulk.

Formation energy, eV/atom: 0.196
E above lowest polymorph, meV/atom: 49
Electronic total energy, eV per atom: -6.6708

Structure (extended XYZ):
```
3
Lattice="-1.785 -2.584 -3.879 1.740 -4.416 -1.544 -1.868 2.701 3.759" Properties=species:S:1:pos:R:3 pbc="T T T"
Fe -0.031 -4.769 -3.695
Au 0.000 -0.021 -0.017
Ir -0.014 -2.209 -1.711
```


2.
The following is a GGA-PBE calculation of a relaxed Fe2IrAu crystal, from Alexandria via LeMat-Bulk.

Formation energy, eV/atom: 0.108
E above lowest polymorph, meV/atom: 34
Electronic total energy, eV per atom: -7.1576

Structure (extended XYZ):
```
4
Lattice="4.641 -0.069 0.000 1.391 4.428 0.000 -3.016 -2.180 2.774" Properties=species:S:1:pos:R:3 pbc="T T T"
Fe 0.000 0.000 0.000
Fe 3.016 2.180 0.000
Ir 0.696 2.214 1.387
Au 2.321 -0.034 1.387
```


3.
The following is a GGA-PBE calculation of a relaxed Fe2IrAu crystal, from Alexandria via LeMat-Bulk.

Formation energy, eV/atom: 0.166
E above lowest polymorph, meV/atom: 92
Electronic total energy, eV per atom: -7.1000

Structure (extended XYZ):
```
4
Lattice="-4.334 0.772 -1.836 -3.329 -0.028 3.414 4.160 2.289 -0.447" Properties=species:S:1:pos:R:3 pbc="T T T"
Fe -1.500 1.316 1.878
Au -2.002 1.716 -0.747
Ir -3.832 0.372 0.789
Fe 0.000 0.000 0.000
```

----------

[1]
Ca3Cd2Hg: relaxed, PBE.

Computed properties:
Uncorrected energy = -10.68 eV for the cell shown
ΔE_f = -424 meV per atom
SG = Cmmm (65)
Polymorph energy (0 for the lowest one) = 0 meV per atom

Unit cell a=3.7890 b=5.4299 c=8.5721 alpha=108.46 beta=90.00 gamma=90.00
Last column: nearest neighbours and their distance in Å.
Fractional coordinates of all 6 atoms:
Ca: 0.5000 0.8372 0.6743  2 Hg 3.26, 6 Cd 3.30-3.31
Ca: 0.5000 0.1628 0.3257  2 Hg 3.26, 6 Cd 3.30-3.31
Ca: 0.5000 0.5000 0.0000  4 Hg 3.31, 4 Cd 3.36
Cd: 0.0000 0.3290 0.6580  8 Ca 3.30-3.36
Cd: 0.0000 0.6710 0.3420  8 Ca 3.30-3.36
Hg: 0.0000 0.0000 0.0000  8 Ca 3.26-3.31

=====

[2]
CaCd5Hg4: relaxed, PBE.

Computed properties:
Uncorrected energy = -8.49 eV for the cell shown
ΔE_f = -71 meV per atom
SG = I4 (79)
Polymorph energy (0 for the lowest one) = 30 meV per atom

Unit cell a=6.3019 b=7.2385 c=7.2385 alpha=79.08 beta=64.20 gamma=64.20
Last column: nearest neighbours and their distance in Å.
Fractional coordinates of all 10 atoms:
Hg: 0.7380 0.8071 0.6183  6 Cd 2.99-3.25, 1 Ca 3.16
Hg: 0.3563 0.3817 0.8071  6 Cd 2.99-3.25, 1 Ca 3.16
Hg: 0.5451 0.6183 0.1929  6 Cd 2.99-3.25, 1 Ca 3.16
Hg: 0.1634 0.1929 0.3817  6 Cd 2.99-3.25, 1 Ca 3.16
Cd: 0.8523 0.3851 0.7978  5 Hg 2.99-3.20, 1 Cd 3.17, 1 Ca 3.31
Cd: 0.2374 0.7978 0.6149  5 Hg 2.99-3.20, 1 Cd 3.17, 1 Ca 3.31
Cd: 0.6501 0.2022 0.3851  5 Hg 2.99-3.20, 1 Cd 3.17, 1 Ca 3.31
Cd: 0.0352 0.6149 0.2022  5 Hg 2.99-3.20, 1 Cd 3.17, 1 Ca 3.31
Cd: 0.7173 0.0000 0.0000  2 Ca 3.14-3.16, 4 Cd 3.17, 4 Hg 3.25
Ca: 0.2153 0.0000 0.0000  6 Cd 3.14-3.31, 4 Hg 3.16

=====
└──

·         Food cravings

The severity of these symptoms are different for every woman, and often fluctuate throughout a woman’s life. Symptoms may even vary from one cycle to the next. Many women find it helpful to track their menstrual cycle and period symptoms in order to identify a pattern. This is also useful if you are trying to conceive because you can identify the times of the month that you will be ovulating, and therefore have the highest probability of conception.

Early Pregnancy Symptoms:

·         Implantation Bleeding (Spotting) and Cramps: These symptoms occur as the zygote attaches to the uterine wall. When implantation occurs, blood vessels in the uterine wall are often ruptured, causing the bleeding. While this can feel similar to the start of a woman’s period, the flow tends to be much lighter. Additionally, the blood tends to vary in colour from a woman’s typical cycle, typically appearing more pink or dark brown, almost rust colored.

·         Nausea and Vomiting: While morning sickness tends not to rear its ugly head until a month or two into a pregnancy, some women may experience these symptoms shortly after implantation. Morning sickness may last throughout the duration of the pregnancy, or it may dissipate after the first trimester.

 ·         Vaginal Discharge: Aside from bleeding, some women will notice a white, milky discharge. This is caused by the increased cell production and thickening of the lining in the uterus, and can last throughout the pregnancy.

 ·         Tiredness and Fatigue: This is a very common early pregnancy symptom because the levels of progesterone in your blood spikes and can cause sleepiness. Progesterone helps maintain the pregnancy, and contributes to the growth of the breast’s milk-producing glands. These symptoms can be noticed as early as one week after conception.

 ·         Breast Tenderness: Similar to period symptoms, the hormonal changes associated with pregnancy can make the breasts tender and painful.

 ·         Frequent Urination: This is an interesting symptom that is caused by the increase blood circulating in a pregnant woman’s body. Since it is the kidneys’ job to process the blood, the extra fluid by-products end up in your bladder. This will continue throughout the pregnancy, and likely worsen in the later trimesters as the growing baby can put pressure directly on the bladder.

 ·         Elevated body Temperature: An elevated core body temperature is another side effect of the increased blood flow during pregnancy. The body’s metabolism is increased, increasing blood flow to the skin, thereby raising the body’s temperature.

·         Food Cravings or Aversions: Both developing food cravings and suddenly noticing a strong distaste for your favorite foods can happen early in your pregnancy. While food cravings are sometimes experienced during menstruation, food aversions are very uncommon.